Contents =
No. 1
Starting from a GGA-PBE-relaxed structure, the X-ray diffraction stick pattern of Dy2SnS5 was simulated for Cu Kα, 1.54184 Å.
Intensities are scaled so that the largest is 100.

Crystal structure
Unit cell a=7.7402 b=11.3580 c=3.8208 alpha=90.00 beta=90.00 gamma=90.00
Positions (direct):
Dy 0.0323 0.1722 0.0000
Dy 0.4677 0.6722 0.0000
Dy 0.5323 0.3278 0.0000
Dy 0.9677 0.8278 0.0000
Sn 0.0000 0.5000 0.5000
Sn 0.5000 0.0000 0.5000
S 0.0000 0.0000 0.5000
S 0.1716 0.4023 0.0000
S 0.1752 0.6961 0.5000
S 0.3248 0.1961 0.5000
S 0.3284 0.9023 0.0000
S 0.5000 0.5000 0.5000
S 0.6716 0.0977 0.0000
S 0.6752 0.8039 0.5000
S 0.8248 0.3039 0.5000
S 0.8284 0.5977 0.0000

Top 12 peaks for 15° ≤ 2θ ≤ 90°, low angle first:
(2 0 0), 2θ 22.98, rel. 71.7
(1 3 0), 2θ 26.20, rel. 100.0
(1 1 1), 2θ 27.19, rel. 65.6
(0 2 1), 2θ 28.15, rel. 42.3
(2 1 1), 2θ 33.90, rel. 29.5
(1 3 1), 2θ 35.33, rel. 40.3
(2 2 1), 2θ 36.64, rel. 82.8
(0 4 1), 2θ 39.54, rel. 29.4
(3 3 0), 2θ 42.40, rel. 37.7
(0 0 2), 2θ 47.62, rel. 38.7
(0 6 0), 2θ 48.06, rel. 50.7
(1 3 2), 2θ 55.14, rel. 27.5

=====

No. 2
Starting from a GGA-PBE-relaxed structure, the X-ray diffraction stick pattern of SrDy2S4 was simulated for Cu Kα, 1.54184 Å.
Intensities are scaled so that the largest is 100.

Crystal structure
Unit cell a=12.0015 b=4.0023 c=14.3785 alpha=90.00 beta=90.00 gamma=90.00
Positions (direct):
Sr 0.2430 0.2500 0.1613
Sr 0.2570 0.7500 0.6613
Sr 0.7430 0.2500 0.3387
Sr 0.7570 0.7500 0.8387
Dy 0.0704 0.2500 0.3904
Dy 0.0795 0.2500 0.8986
Dy 0.4205 0.7500 0.3986
Dy 0.4296 0.7500 0.8904
Dy 0.5704 0.2500 0.1096
Dy 0.5795 0.2500 0.6014
Dy 0.9205 0.7500 0.1014
Dy 0.9296 0.7500 0.6096
S 0.0206 0.7500 0.7842
S 0.0837 0.2500 0.5792
S 0.1315 0.7500 0.0255
S 0.2086 0.7500 0.3239
S 0.2914 0.2500 0.8239
S 0.3685 0.2500 0.5255
S 0.4163 0.7500 0.0792
S 0.4794 0.2500 0.2842
S 0.5206 0.7500 0.7158
S 0.5837 0.2500 0.9208
S 0.6315 0.7500 0.4745
S 0.7086 0.7500 0.1761
S 0.7914 0.2500 0.6761
S 0.8685 0.2500 0.9745
S 0.9163 0.7500 0.4208
S 0.9794 0.2500 0.2158

Top 12 peaks for 15° ≤ 2θ ≤ 90°, low angle first:
(0 0 4), 2θ 24.77, rel. 45.8
(3 0 2), 2θ 25.48, rel. 100.0
(1 1 2), 2θ 26.55, rel. 88.4
(2 1 0), 2θ 26.77, rel. 44.1
(1 1 3), 2θ 30.03, rel. 21.4
Activity =
Your job: echo the data further up from the line with "=====" to the end verbatim.
Outcome =
=====

No. 2
Starting from a GGA-PBE-relaxed structure, the X-ray diffraction stick pattern of SrDy2S4 was simulated for Cu Kα, 1.54184 Å.
Intensities are scaled so that the largest is 100.

Crystal structure
Unit cell a=12.0015 b=4.0023 c=14.3785 alpha=90.00 beta=90.00 gamma=90.00
Positions (direct):
Sr 0.2430 0.2500 0.1613
Sr 0.2570 0.7500 0.6613
Sr 0.7430 0.2500 0.3387
Sr 0.7570 0.7500 0.8387
Dy 0.0704 0.2500 0.3904
Dy 0.0795 0.2500 0.8986
Dy 0.4205 0.7500 0.3986
Dy 0.4296 0.7500 0.8904
Dy 0.5704 0.2500 0.1096
Dy 0.5795 0.2500 0.6014
Dy 0.9205 0.7500 0.1014
Dy 0.9296 0.7500 0.6096
S 0.0206 0.7500 0.7842
S 0.0837 0.2500 0.5792
S 0.1315 0.7500 0.0255
S 0.2086 0.7500 0.3239
S 0.2914 0.2500 0.8239
S 0.3685 0.2500 0.5255
S 0.4163 0.7500 0.0792
S 0.4794 0.2500 0.2842
S 0.5206 0.7500 0.7158
S 0.5837 0.2500 0.9208
S 0.6315 0.7500 0.4745
S 0.7086 0.7500 0.1761
S 0.7914 0.2500 0.6761
S 0.8685 0.2500 0.9745
S 0.9163 0.7500 0.4208
S 0.9794 0.2500 0.2158

Top 12 peaks for 15° ≤ 2θ ≤ 90°, low angle first:
(0 0 4), 2θ 24.77, rel. 45.8
(3 0 2), 2θ 25.48, rel. 100.0
(1 1 2), 2θ 26.55, rel. 88.4
(2 1 0), 2θ 26.77, rel. 44.1
(1 1 3), 2θ 30.03, rel. 21.4